For many of us, when we think of the word "betrayal," we think of a specific behaviour that someone has done that has harmed us in a particular way. They may have violated our sense of trust in them, they may have deceived us, they may have humiliated or shamed us, or they may have physically harmed us.
We think of it as an action that has been directed towards us. However, there is another form of betrayal that happens when someone’s behaviour is one of inaction. Of silence. The person is aware that something inappropriate or harmful has happened and they decide to remain silent.
There can be many reasons for our decisions to remain silent. For someone who is afraid of conflict, this may feel like a very safe and wise choice to make.
However, there are other times when we may decide to remain silent even though our personal safety is not at risk. Psychologically speaking, it may feel easier to walk away and say nothing.
The problem with this approach is that if we continually have a pattern of walking away or remaining silent about inappropriate behaviour, that behaviour may appear to be acceptable or even normalized.
One of my favourite classes at university was my Philosophy class and our professor challenged us on this very concept. I remember him saying to us that "no action is still an action." You have made a decision not to act, to remain silent. When this concept is presented to us in this way, we immediately realize that we are in fact responsible, for all our actions.
That phrase "no action is still an action" stayed with me over the years because I had often thought of staying silent as a way of keeping the peace. Yet to stay silent when I am witnessing harm is not an act of peace. Not when someone else’s trust or safety is being violated.
The image of the three monkeys who see no evil, hear no evil and speak no evil is familiar to many of us. If we pretend that we don’t notice or have no knowledge of the harm that is occurring, we somehow feel less responsible for its existence.
We were also taught about the concept of being "morally consistent." If I am someone who says that I believe in the value of honesty, then it would follow that my actions would be to treat others in an honest manner. If I believe that all people have a right to safety, then my actions and behaviours need to reflect that.
• Attached: records of molecules:
____________
Entry a
Formula: C6H10O
Source: OMol25
Level of theory: wB97M-V/def2-TZVPD

Element x y z (Å)
C -2.0721 -0.5145 0.2506
C -0.8327 -0.0496 -0.4832
O -0.5149 1.2574 -0.0028
C 0.8251 1.5200 -0.3710
C 1.4860 0.1918 -0.2065
C 1.1084 -0.6426 0.9939
C 0.4571 -0.8763 -0.3355
H -2.8755 0.2163 0.1147
H -1.8798 -0.6158 1.3235
H -2.4083 -1.4787 -0.1397
H -1.0375 0.0189 -1.5653
H 0.9075 1.8468 -1.4188
H 1.2315 2.2951 0.2878
H 2.4730 -0.0027 -0.6181
H 0.4421 -0.3059 1.7862
H 2.0689 -0.9873 1.3184
H 0.5889 -1.7414 -0.9818

The structure (SMILES) is C[C@H]1OC[C@H]2C[C@H]21. For the frontier orbital gap, the calculation gives 10.8 eV. For the LUMO energy, the calculation gives 1.13 eV.

---

Entry b
Formula: C6H10O
Source: OMol25
Level of theory: wB97M-V/def2-TZVPD

Element x y z (Å)
C 2.2142 0.0908 0.1342
C 0.7440 -0.1727 0.0475
C 0.0657 -1.2127 0.5320
C -1.4132 -1.1456 0.2524
C -1.5888 0.2112 -0.4693
C -0.1775 0.8261 -0.6234
O -0.0455 2.1293 -0.0662
H 2.3980 1.0688 0.5935
H 2.6643 0.1229 -0.8662
H 2.7275 -0.6804 0.7169
H 0.5191 -2.0453 1.0664
H -2.0021 -1.2082 1.1760
H -1.7355 -1.9853 -0.3764
H -2.0791 0.0918 -1.4397
H -2.2062 0.9037 0.1113
H 0.0929 0.9620 -1.6775
H -0.1778 2.0438 0.8884

The structure (SMILES) is CC1=CCC[C@H]1O. For the frontier orbital gap, the calculation gives 10.2 eV. For the LUMO energy, the calculation gives 1.00 eV.

---

Most stable one: entry b, least stable one: entry a.

---

Entry a
Formula: C6H10O
Source: OMol25
Level of theory: wB97M-V/def2-TZVPD

Element x y z (Å)
C 1.6638 -0.5878 -1.1816
C 0.6395 -1.5994 -0.7432
C 0.2251 -0.1858 -1.0272
C -0.2314 0.7223 0.0956
C -1.6413 0.4200 0.6517
C 0.1821 1.1570 2.3497
O 0.6058 0.5430 1.2740
H 2.3690 -0.2389 -0.4335
H 2.0704 -0.6698 -2.1866
H 0.3468 -2.3765 -1.4437
H 0.6638 -1.9079 0.2983
H -0.3299 -0.0114 -1.9492
H -0.1239 1.7696 -0.2211
H -2.3841 1.1705 0.3729
H -1.9724 -0.5819 0.3837
H -0.5032 1.9927 2.0081
H -1.5800 0.3844 1.7522

For the frontier orbital gap, the calculation gives 9.1 eV. For the LUMO energy, the calculation gives 0.60 eV.

---

Entry b
Formula: C6H10O
Source: OMol25
Level of theory: wB97M-V/def2-TZVPD

Element x y z (Å)
C -2.2184 -0.1990 0.0612
C -1.0946 0.7399 -0.3115
C -0.0804 1.2271 0.6870
C 0.3583 0.3744 -0.4696
C 1.0143 -0.9578 -0.2034
C 2.5188 -0.7800 -0.1247
O 3.0883 0.2676 -0.3131
H -3.0998 0.3821 0.3584
H -1.9605 -0.8559 0.8989
H -2.5104 -0.8267 -0.7888
H -1.4047 1.4947 -1.0329
H 0.2069 2.2733 0.7174
H -0.0885 0.7382 1.6610
H 0.8586 0.9083 -1.2729
H 0.8188 -1.7082 -0.9854
H 0.6815 -1.4180 0.7381
H 3.1044 -1.6946 0.1082

The structure (SMILES) is C[C@H]1C[C@H]1CC=O. For the frontier orbital gap, the calculation gives 10.8 eV. For the LUMO energy, the calculation gives 1.06 eV.

---

Most stable one: entry b, least stable one: entry a.

---

Entry a
Formula: C6H10O
Source: OMol25
Level of theory: wB97M-V/def2-TZVPD

Element x y z (Å)
C -1.9301 -0.3537 0.6112
C -1.1850 0.1956 -0.5890
C 0.0343 1.0714 -0.2686
C 1.0553 -0.0265 -0.1010
C 2.4364 0.1137 0.3458
____________
In my previous article titled "Understanding the Meaning of our Exhaustion," I wrote about the importance of living our life in alignment with our values or our true nature.
So that is my personal goal for this year and beyond. To notice if my personal values and my actions are, as my professor would say, "morally consistent." I truly believe that for change to happen in our culture, we all need to take responsibility for making that happen.
Calculated molecules that have nothing to do with the entry >
# 1
ORCA calculation (ωB97M-V with the def2-TZVPD basis set) on a molecular structure, C56H156F12N2O34S4Sn.

The maximum force comes out at 6.6 eV/A. The orbital gap is 6.906 eV. The HOMO energy is -0.3393 Eh. As for the spin multiplicity: 1.

The geometry in XYZ format:
```
265
C56H156F12N2O34S4Sn | the OMol25 dataset | ωB97M-V with the def2-TZVPD basis set
Sn 2.555 1.802 2.250
C 6.802 3.953 1.297
F 7.485 5.083 1.463
F 5.816 4.157 0.469
F 7.656 3.067 0.728
S 6.133 3.257 3.011
O 7.267 3.261 3.992
O 4.976 4.093 3.314
N 5.491 1.682 2.493
S 6.582 0.678 2.924
O 7.920 0.937 2.373
O 6.523 0.346 4.352
C 5.979 -0.938 1.999
F 4.743 -1.152 2.456
F 6.003 -0.785 0.638
F 6.753 -1.987 2.363
C 1.628 -2.513 0.014
F 1.387 -2.218 -1.289
F 1.322 -3.748 0.342
F 2.922 -2.245 0.414
S 0.610 -1.316 1.136
O -0.669 -1.947 1.377
O 1.354 -1.160 2.381
N 0.779 0.278 0.365
S -0.706 0.342 -0.132
O -1.012 -0.504 -1.232
O -1.729 0.437 0.947
C -0.737 2.114 -0.887
F -1.948 2.272 -1.426
F -0.491 3.049 0.062
F 0.184 2.198 -1.849
C -2.633 -5.385 1.905
C -1.151 -5.892 1.817
O -0.937 -6.988 2.670
H -2.925 -5.279 2.950
H -3.277 -6.166 1.500
H -2.799 -4.424 1.419
H -0.434 -5.108 2.060
H -0.839 -6.021 0.780
H -1.407 -7.759 2.345
C -0.880 -0.012 -4.702
C -1.987 -0.640 -5.555
O -2.746 0.340 -6.261
H -0.009 -0.636 -4.501
H -1.247 0.560 -3.850
H -0.455 0.809 -5.278
H -2.599 -1.394 -5.061
H -1.373 -1.224 -6.241
H -3.576 -0.076 -6.506
C -4.445 -1.863 1.009
C -4.038 -1.341 2.416
O -5.183 -1.380 3.258
H -5.247 -1.249 0.600
H -4.898 -2.844 1.152
H -3.674 -1.994 0.249
H -3.594 -0.348 2.482
H -3.240 -1.957 2.832
H -4.784 -1.361 4.131
C -1.236 1.754 5.429
C -1.087 1.368 3.942
O -0.464 2.371 3.223
H -1.871 1.031 5.941
H -1.621 2.758 5.610
H -0.266 1.707 5.922
H -2.041 1.253 3.427
H -0.659 0.380 3.774
H -1.106 3.046 2.991
C -2.976 5.120 -3.066
C -3.102 5.234 -1.532
O -3.430 6.593 -1.234
H -2.919 4.107 -3.464
H -2.153 5.677 -3.514
H -3.933 5.493 -3.430
H -2.189 4.997 -0.985
H -3.915 4.635 -1.124
H -2.649 7.128 -1.394
C -1.235 -6.949 6.263
C 0.207 -7.014 5.831
O 0.535 -6.126 4.838
H -1.597 -5.992 6.639
H -1.530 -7.726 6.968
H -1.888 -7.121 5.407
H 0.371 -8.023 5.452
H 0.814 -6.854 6.721
H 0.098 -6.445 4.045
C 4.257 6.846 -3.353
C 4.058 5.688 -4.281
O 5.363 5.200 -4.681
H 3.339 7.261 -2.935
H 4.816 7.664 -3.806
H 4.722 6.457 -2.447
H 3.530 6.059 -5.159
H 3.462 4.889 -3.841
H 5.636 5.843 -5.340
C -4.510 2.250 2.107
C -5.153 2.520 3.489
O -4.775 3.848 3.905
H -3.424 2.165 2.069
H -4.828 2.942 1.327
H -4.952 1.314 1.765
H -4.873 1.785 4.243
H -6.239 2.545 3.395
H -5.388 4.096 4.601
C 4.369 -4.007 -2.758
C 5.607 -4.638 -2.237
O 6.478 -4.924 -3.339
H 4.578 -3.000 -3.120
H 3.576 -3.893 -2.019
H 3.950 -4.564 -3.596
H 5.438 -5.581 -1.717
H 6.070 -3.958 -1.523
H 6.172 -5.723 -3.774
C 3.688 -0.608 6.156
C 2.395 -0.165 5.447
O 2.464 1.224 5.254
H 3.743 -1.693 6.243
H 3.730 -0.305 7.203
H 4.569 -0.188 5.670
H 1.630 -0.488 6.154
H 2.327 -0.693 4.496
H 2.214 1.569 6.114
C 1.430 5.578 -1.114
C 2.541 4.686 -0.556
I would like to end with a quote by Mahatma Gandhi: "Be the change you wish to see in the world."